How to document physical events so doctors can see?

I am in pro active ballistic mode. I need to be able to show my doctors first hand what my movement disorder, tremors, rashes, swellings, spasms, and more are like, Describing them seems to go in one ear and out the other.

For those of you who are good at documenting these kinds of things, what would you suggest and share as tips and tricks? I do have a digital camera with a 10 second time delay, will also take short movie clips. I wish to collect them all on disc and hand to each doctor. Picture is worth a 1000 words right?

Thanks in advance for any help you can give. I'm feeling unheard by my care TEAM, like they all have decided everything, I have no say so, but we have to work together to keep me going.

take care and may happiness be your constant companion.


If you have an Android phone or tablet or Iphone etc, their are a couple of good apps that don't cost much or are free. You can document any symptoms, take pictures and it will graph the data and you can either print it out or email it to your doctor, photos and all. Some also have place to document any type of aggravators, like sunlight. So you can record how much time you spent in the sun and then see if there is a trend in your resulting symptoms. Google "symptom tracker apps" and you should be able to come up with a few. If you don't have the technology, you could always start an excel spreadsheet to track symptoms and then you can put it into a graph. Hope this helps When you are feeling dismissed by the docs, just silently remember, you are not crazy and you have a right to be heard.

I am in agreement with the above. I think it is a good idea to document your issues to show them to the doctors. I have photographed things to show my doctor because sometime they happen a month away from my appointments and will not be there when I need them to be for that appointment. It has worked for me. I also have my rheumy’s email address and I send her pictures and ask her questions about issues that are happening and she will email me back with suggestions of even DX.

Best of luck…Deenie

I’m a Nurse who works in an outpatient clinic with doctors every day and I also have antiphospholipid syndrome that I believe is progressing to lupus. I am trying to prove to my doctors about all my symptoms and your right, in one ear and out the other. What I have begun to do is keep a calendar on my cell phone and each day I document how I feel and symptoms I had. I also can take pics on my phone to show them or even in your case, a video if needed. During the appointment I have specific dates, symptoms, and pics of what it looks like to show them. I don’t think the disc will work. Honestly, if it gets put on their desk to view later, they will never find it again! (You think their handwriting is messy, you should see their desk!). Hopefully that will help. Good luck documenting.


Our own Jujubeee records her seizures, (got her husband to record it on tablet or computer camera) takes pics of her skin problems, etc. and put the videos on youtube, then onto her blog, then in the doctor's office, they can just go to her blog to see the latest symptom she's talking about.

My dermy did that. He took my cell, took pics and saved. He then, instructed me to show the pics to my rheumy. It worked.

SherryK said:

I'm a Nurse who works in an outpatient clinic with doctors every day and I also have antiphospholipid syndrome that I believe is progressing to lupus. I am trying to prove to my doctors about all my symptoms and your right, in one ear and out the other. What I have begun to do is keep a calendar on my cell phone and each day I document how I feel and symptoms I had. I also can take pics on my phone to show them or even in your case, a video if needed. During the appointment I have specific dates, symptoms, and pics of what it looks like to show them. I don't think the disc will work. Honestly, if it gets put on their desk to view later, they will never find it again! (You think their handwriting is messy, you should see their desk!). Hopefully that will help. Good luck documenting.


Thanks everyone for the helpful suggestions. I'm so very frustrated with my primary care doctor, and my rheumy? won't waste the cost of another visit there. I tend to play down symptoms and ignore all but the squeaky wheel, and treat symptoms naturally. That said, in the last 2 weeks 5 new meds have been added, but I am told it doesn't matter why I have high blood pressure but to take the pills.

I took the pills, and started the increased dosage Monday. Is now early Friday morning, and have had several bouts of you are having heart attck symptoms, but it's not that. It is how my body handles high blood pressure meds, this time old fashioned clonidine. I was beginning to think "it's all in my head" but not so. Th last episode, 30 minutes long, woke me from a solid sleep.

I think living clean and natural works best for me. I am so tired of beating my head against a brick wall, attempting to get help. We are going to have to suck it up, and pay out of pocket for natural and holistic care that helps me.

And, I am going to find my joy, stop letting my health issues stand in the way of living as well as possible. Not denial, but gonna show them who the Alpha is around here. If I need to dance buck naked under the full moon to feel better, then I will. Whatever works. Going to need to take pole dancing lessons - might trip myself up on my lovely new pink walking cane if I don't.

It's now officially Friday. gee only took me 30 something minutes to type this. Everyone have a lovely weekend. I need to rest up, rains coming and I get lock joints.


Perplexed, not a butterfly yet, but pretty daggum batty.

Hi Perplexed,

It is okay to be in transition to becoming a beautiful, sought by all butterfly.

This I've learned, that there are out there so many physicians to choose from that there shouldn't be a dissatisfied patient. I try to do my homework (check qualifications, get referrals from other doctors, reputation (in the waiting room area, I talk to the other patients), and staff comments about the doctor. My health insurance representative said that with the new "Patients' Rights" affirmation, patients can interview each doctor to see which will they be retaining as their own, whom do they feel comfortable to meet their health care needs? Physicians will also choose whom they want as a patient.

Hope your weekend is bright with laughs.

Hello Perplexed,

That is a great idea! One idea is to draw out an outline of a body, you may find one online to print out.

Example: Code it with:

Throbbing Pain= X

Rash= R


Just put the letters on the area of the body that has the issue. make several copies if you can for daily documentation or weekly. Whatever suites your needs during your flare ups.

I have one, I may try to scan & attach it. I use them for my neuro surgeon to have in my chart.

I just read all the other comments, new here, didn't see them first :) I love the idea of a daily checklist of signs & symptoms. Then you can actually have a visual with the body chart too, Photos & videos like several mentioned is a plus. Sorry to hear your having problems with MD's.

I can understand your feeling of flustration with your drs.i am having the same problem,my face has been numb sence dec of 2012 and it feels like electric shock going through it 24/7 and my tounge feels like it has been scalded and i have seen every kind of dr u can think of and i have gotten nowhere,it is so flustrating.if they had to deal with half of r pain i bet they would figure out something,good luck hope u find a good dr.

foreverhopeful, I am so sad you have to go through this, and have not found any help. One of my biggest helps has been a very skilled and well trained hands on physical therapist. He also helps people rehab from strokes, and serious injury falls like broken hips and fractured vertebrae, and works with many older medicare patients.

If you think a good physical therapist could help, please ask your primary care /team head doctor for a referral. And I believe you are brand new, so WELCOME! You have landed in a wonderful and supportive community of people, and we all understand facing challenges.

Beaker, I don't think I ever got the chance so WELCOME to a wonderful and supportive community. I have come to feel like they are a second family, even if separated by miles and even oceans.

I especially want to document my movement disorder, and times of paralysis - sometimes one arm will curl up into my chest, fist clenched, and be paralyzed for up to 18 hours. My rashes are not the usual butterfly across the face, but in other areas. One foot curls sideways when walking, etc. I think physical documentation would help them take me far more seriously, and help them.

My primary doctor isn't a good fit, so time to find someone who isn't so uncomfortable with a puzzle like me. I do have one specialist who I trust, and intend to pick his brain for doctors he would recommend. A great way to find someone respected by other medical people!

Between two parts of the page: records of crystals:
Structure and calculated X-ray powder pattern of Na2LuPWO8 (the GGA+U geometry in Alexandria; Cu Kα (λ = 1.5418 Å)).
Peak positions follow from Bragg's law for the DFT cell and can differ from measured ones.

Largest 10 diffraction maxima, in order of rising 2θ, 2θ from 10° to 90°:
| 2theta | I (rel.) |
| --- | --- |
| 14.66 | 97 |
| 17.82 | 90 |
| 20.23 | 37 |
| 24.60 | 64 |
| 27.51 | 57 |
| 27.94 | 100 |
| 29.36 | 52 |
| 32.79 | 63 |
| 35.68 | 40 |
| 50.46 | 38 |

Structure:
a b c (Å): 6.8180 12.0832 18.2549
angles (deg): 90.00 90.00 90.00
Space group Ibca (No. 73)
One atom of each set of equivalent atoms:
Na  0.0009  0.0573  0.1547 (multiplicity 16)
Lu  0.2500  0.1778  0.5000 (multiplicity 8)
P  0.2500  0.0686  0.0000 (multiplicity 8)
W  0.0000  0.2500  0.3252 (multiplicity 8)
O  0.0451  0.1281  0.7706 (multiplicity 16)
O  0.0726  0.1495  0.0059 (multiplicity 16)
O  0.2169  0.2242  0.3819 (multiplicity 16)
O  0.2425  0.0083  0.5677 (multiplicity 16)

Beaker said:

I just read all the other comments, new here, didn't see them first :) I love the idea of a daily checklist of signs & symptoms. Then you can actually have a visual with the body chart too, Photos & videos like several mentioned is a plus. Sorry to hear your having problems with MD's.

Latina am late seeing this, thank you for the help! I am going to check with my husbands EAP at work, and see if there is anything they can help with. I know they have helped when we hit brick walls with some of our children's health quandaries. Raising a brood with lots of out of the ordinary needs teaches you much. I don't know why I have forgotten these resources and tools apply to me as well. Brain fog I guess. hugs, Perplexed.

Latina said:

Hi Perplexed,

It is okay to be in transition to becoming a beautiful, sought by all butterfly.

This I've learned, that there are out there so many physicians to choose from that there shouldn't be a dissatisfied patient. I try to do my homework (check qualifications, get referrals from other doctors, reputation (in the waiting room area, I talk to the other patients), and staff comments about the doctor. My health insurance representative said that with the new "Patients' Rights" affirmation, patients can interview each doctor to see which will they be retaining as their own, whom do they feel comfortable to meet their health care needs? Physicians will also choose whom they want as a patient.

Hope your weekend is bright with laughs.

Shelia - that is a fabulous idea. Thank you for sharing this. I have a video function on my digital camera, could keep it ready to go with the click of 2 buttons, and put a larger memory card in it. My movement disorder start to finish can last 2 hours per episode, goes body wide. Funny to watch, not funny to live. Have a lovely day! hugs, Perplexed

Sheila W. said:

Our own Jujubeee records her seizures, (got her husband to record it on tablet or computer camera) takes pics of her skin problems, etc. and put the videos on youtube, then onto her blog, then in the doctor's office, they can just go to her blog to see the latest symptom she's talking about.

Sherry thanks for the honesty and help! I hope you get the help you need, and perhaps never have to wear the lupus label. I am determined to do whatever I am able to help myself, keep my independence, but documenting in a way doctors will deal with and not bury on their desks is a great idea. Right now have had to all but give up driving, and no public transportation unless I could walk 3-5 miles to nearest bus stop. HA! If I was in that good of shape, would not be here asking for support. I spent my time, needed at home raising our children, and when you do not qualify for government disability, all other services are denied as well. Frustrating, but has my mind whirring as to how I could make a difference in our community, others here like me. Sorry to ramble. waiting 5 more hours so I can be outside in the shade and try some relaxation exercises. I need to be outside them same 4 walls, is good for me. ugs, Perplexed.

SherryK said:

I'm a Nurse who works in an outpatient clinic with doctors every day and I also have antiphospholipid syndrome that I believe is progressing to lupus. I am trying to prove to my doctors about all my symptoms and your right, in one ear and out the other. What I have begun to do is keep a calendar on my cell phone and each day I document how I feel and symptoms I had. I also can take pics on my phone to show them or even in your case, a video if needed. During the appointment I have specific dates, symptoms, and pics of what it looks like to show them. I don't think the disc will work. Honestly, if it gets put on their desk to view later, they will never find it again! (You think their handwriting is messy, you should see their desk!). Hopefully that will help. Good luck documenting.
